[4 minute read]

ARE YOU ONE OF THOSE PEOPLE who analyze things to death? Or do you over-intellectualize every experience to avoid facing your own vulnerability? Both are defense mechanisms that will get you stuck, especially when you face setbacks. Instead of taking refuge in Jesus as your resurrected Saviour, you retreat to the voice of human reasoning and response.

Let's not forget that God is an expert in divine set-ups, especially when everything appears more like setbacks. Christ’s crucifixion is a classic example: by all appearances, the promise of a saviour for the Israelites seemed doomed as a decisive failure. Afterall, Jesus’ arrest, the horrific public flogging He suffered and His humiliating death could hardly be what promises were made of. But the severity of these setbacks did not and could not stop the miracle of Christ’s resurrection on day three after His crucifixion. When it looked like the Enemy had succeeded, when it seemed like failure wrote the final chapter, when it appeared as though hope had been defeated - they all played into God’s hands for a mind-blowing finale that sealed His salvation for all of mankind!

Today, it could be a breakup with someone who promised a future with you, or the sadness of losing the home you thought you would spend the rest of your life in as you hand the keys to its new owner, or seeing your golden years tarnish as you battle a series of health issues all alone. Humanly speaking, it may seem easier to succumb to the gravitational pull of despair than to rise to the spiritual pull of divine hope. 

We read in Genesis 50:15-21 of how Joseph also experienced one setback after another, beginning from the time his brothers colluded to sell him into slavery. But in spite of the less than desirable situations he found himself in, without fail, he rose above adverse circumstances with the distinction and leadership that God promised him. Through his life, Joseph showed us the importance of not allowing setbacks to destabilize our future and hinder what God wants to accomplish in and through us. In order to do this, we need to resolve to do three things:

What comes next are records of molecules, not part of the text:
'''
Record 1
74
Properties=species:S:1:pos:R:3:forces:R:3:nbo_charge:R:1 method="wB97M-V/def2-TZVPD" lumo_ev=3.865 gap_ev=5.03 total_charge=-2
Bi 1.111 0.385 -1.021 2.7 0.7 -0.3 1.409
C 1.178 -7.028 1.002 -0.1 0.1 -0.1 -0.612
C 0.839 -5.601 0.651 -0.2 0.0 0.0 -0.102
C -0.358 -5.007 1.060 0.2 -0.1 0.0 -0.206
C -0.652 -3.697 0.749 0.1 0.3 -0.2 -0.264
C 0.223 -2.870 -0.009 -0.2 -0.6 0.3 0.185
N -0.043 -1.598 -0.371 -0.9 -0.9 -0.1 -0.733
C -0.862 -0.798 0.363 -1.5 -0.9 0.6 0.163
C -0.830 -0.757 1.778 -1.6 -1.9 0.1 -0.364
C -1.573 0.144 2.514 -3.4 -3.5 0.8 -0.124
C -2.406 1.072 1.893 -2.1 -0.9 -0.6 -0.045
C -3.197 2.083 2.683 -1.1 -0.4 -0.7 -0.616
C -2.461 1.049 0.507 -0.5 -0.2 0.3 -0.189
C -1.724 0.146 -0.246 -0.2 -0.2 0.3 0.111
N -1.887 0.172 -1.659 -0.6 -0.6 0.0 -0.184
C -3.062 0.165 -2.333 0.2 0.1 0.1 -0.031
C -2.755 0.220 -3.672 0.3 0.0 -0.1 -0.334
C -1.348 0.260 -3.709 -0.6 -1.8 -0.9 -0.045
N -0.840 0.232 -2.489 -2.0 -3.2 -0.9 -0.303
C 1.392 -3.512 -0.467 0.0 -0.1 0.1 0.153
C 1.691 -4.825 -0.120 0.0 0.1 -0.1 -0.217
N 2.300 -2.823 -1.316 -0.2 -0.4 -0.1 -0.190
C 2.955 -3.367 -2.364 0.3 0.0 -0.3 -0.043
C 3.903 -2.459 -2.777 -0.2 -0.1 0.0 -0.323
C 3.738 -1.365 -1.917 0.0 -0.2 0.2 -0.007
N 2.762 -1.595 -1.041 0.7 0.1 0.2 -0.307
H 0.732 -7.314 1.956 0.0 0.0 0.0 0.202
H 2.258 -7.166 1.079 0.0 0.0 0.0 0.206
H 0.811 -7.725 0.242 0.0 0.0 0.0 0.199
H -1.073 -5.588 1.636 0.0 0.0 0.0 0.191
H -1.595 -3.272 1.067 0.0 0.0 0.0 0.211
H -0.177 -1.461 2.278 -0.5 -0.1 -0.1 0.252
H -1.495 0.135 3.597 -1.0 -0.9 -0.3 0.223
H -3.196 1.830 3.744 -0.3 0.0 -0.2 0.214
H -4.233 2.128 2.338 -0.1 -0.1 -0.1 0.212
H -2.772 3.085 2.576 -0.8 -0.2 -0.6 0.198
H -3.089 1.766 -0.014 0.1 0.0 0.0 0.217
H -4.007 0.110 -1.820 0.0 0.0 0.1 0.220
H -3.442 0.230 -4.501 0.0 0.0 0.0 0.222
H -0.679 0.328 -4.552 0.0 0.1 0.1 0.260
H 2.631 -5.246 -0.459 0.0 0.0 0.0 0.204
H 2.685 -4.335 -2.749 0.0 0.0 0.1 0.209
H 4.592 -2.532 -3.599 0.0 0.0 0.0 0.232
H 4.297 -0.445 -1.909 -0.1 0.2 0.0 0.270
Se 5.714 1.836 -3.614 0.0 -0.1 0.1 -0.865
Sb 3.493 2.627 -3.005 0.0 0.0 0.1 1.096
Se 3.134 1.856 -0.483 1.7 1.4 -0.1 -0.760
Se 3.187 5.045 -3.042 -0.1 -0.1 0.1 -0.854
Se 1.723 1.435 -4.296 0.3 0.1 0.2 -0.920
N -1.732 3.922 -4.178 -0.3 -0.1 -0.1 -0.814
C -1.126 3.877 -2.940 0.3 0.3 0.7 0.351
C -0.815 2.641 -2.352 -0.1 1.7 -0.1 -0.021
N -0.153 2.579 -1.213 -0.4 0.4 -0.2 -0.471
C 0.167 3.728 -0.608 0.0 0.2 0.1 -0.020
C -0.225 4.931 -1.154 0.1 -0.1 0.1 0.011
N -0.875 5.015 -2.315 -0.2 0.1 -0.3 -0.440
H -1.449 3.164 -4.783 0.1 0.1 0.0 0.389
H -1.643 4.830 -4.606 0.1 0.0 -0.1 0.384
H -1.074 1.704 -2.830 0.3 3.0 0.3 0.239
H 0.757 3.670 0.294 0.1 0.0 0.0 0.226
H 0.023 5.865 -0.667 0.0 0.0 0.0 0.190
O 1.280 0.109 2.426 1.3 0.5 1.3 -0.713
B 0.671 0.642 1.283 0.4 0.8 -0.7 0.640
O -0.290 1.585 1.683 4.1 4.5 -0.1 -0.763
C -0.264 1.616 3.042 1.9 1.5 0.1 0.220
C -1.003 2.386 3.912 1.5 1.2 0.7 -0.246
C -0.751 2.220 5.273 -0.1 0.0 -0.2 -0.233
C 0.206 1.320 5.727 -0.1 -0.2 0.1 -0.235
C 0.954 0.547 4.840 0.0 -0.1 -0.1 -0.284
'''
Here the text continues:


The Lord was with him” are words often used in Joseph’s biography. Knowing that someone has our back makes all the difference to one ploughing through uncertainties and overcoming hardships because we don’t feel so alone. At the same time, knowing that God has our back enables us to be the bigger person in any situations all the time. Instead of participating in malicious backbiting to publicize mistreatments he experienced, Joseph focused on what was important to God.

As a result, he found favour wherever he ended up - from palace to prison - and God blessed him with success in whatever he did. At the age of 30, he was made a prime minister of Egypt! This shows us that our success is not determined by how our bosses treat us, or how nurturing or negative the workplace culture is. (Who won’t excel in favourable conditions?) Rather, we have the God-given ability to pursue meaning and sparkle even in the most humbling positions. 


If Joseph did not guard his heart and mind against the onslaught of speculations about people’s intents and schemes to get even, he’d be wasting his whole life devising vengeful payback against his brothers for what they did to ruin him.

Instead, from prison to public office, he held up exemplary behaviour in every role and carried his roles and responsibilities with exceptional integrity. If Joseph’s heart had been set on vindictiveness, if he had been obsessed with regaining his lost entitlements, if he had been consumed with bitterness against his brothers, he would not have found the tenacity and resolve needed to maintain his integrity in the face of numerous setbacks. When his brothers had feared and imagined every kind of malice they deserved from him, he delivered only kindness to them.


From young, Joseph was promised exceptional blessings. Genesis 49:26b describes his blessing as such: “Let all these rest on the head of Joseph, on the brow of the prince among his brothers.” He took a place of elevated pride and joy in his father’s heart. Yet, he remained grounded and realistic about his abilities and inadequacies.

When approached to interpret dreams for Pharoah, he admitted, “I cannot do it…but GOD will give Pharoah the answer he desires.” This is very different from asking God, in private, for the ability to do something and then publicly taking personal credit for it. Oh sure, we add in the words ‘thank God’ but more as an exclamation than an exaltation.

Records of molecules, as found in the file =
********
Model A:
This record from the Open Molecules 2025 dataset describes 2 unconnected molecules or ions with the total composition C5H12NO. The level of theory is wB97M-V/def2-TZVPD.

Structure (ORCA input):
```
! wB97M-V def2-TZVPD RIJCOSX def2/J DEFGRID3
* xyz 0 2
C 1.368 -0.721 -2.445
C 0.865 -1.640 -1.359
C 0.394 -0.802 -0.301
C -0.734 -0.821 0.471
N -0.797 0.072 1.579
C -1.918 0.312 2.267
H 1.718 -1.257 -3.482
H 2.220 -0.014 -2.140
H 0.451 -0.065 -2.674
H 1.669 -2.378 -0.965
H -0.032 -2.277 -1.829
H 1.103 -0.010 0.002
H -1.577 -1.517 0.168
H 0.132 0.598 1.605
H -2.781 -0.309 1.929
H -2.327 0.957 3.105
H -0.049 3.764 1.979
H 0.314 3.127 0.595
O -0.017 2.982 1.496
*
```

The LUMO energy (alpha / beta) comes out at 0.67 / 0.66 eV. The calculation puts the HOMO-LUMO gap (alpha / beta) at 6.20 / 8.99 eV. The calculation puts the HOMO energy (alpha / beta) at -5.5 / -8.3 eV.

Model B:
This record from the Open Molecules 2025 dataset describes 2 unconnected molecules or ions with the total composition C5H12NO. The level of theory is wB97M-V/def2-TZVPD.

Structure (ORCA input):
```
! wB97M-V def2-TZVPD RIJCOSX def2/J DEFGRID3
* xyz 0 2
C 1.961 -0.229 1.545
C 0.900 -1.011 0.784
C -0.427 -0.320 0.535
C -1.630 -0.639 0.999
C -1.121 1.670 -0.555
N -0.259 0.669 -0.491
H 1.503 0.389 2.332
H 2.630 -0.883 2.074
H 2.433 0.600 0.995
H 1.264 -1.520 -0.120
H 0.727 -1.859 1.474
H -1.737 -1.247 1.885
H -2.651 -0.410 0.686
H -1.011 2.581 -1.128
H -1.997 1.726 0.066
H 0.581 0.583 -1.027
H -0.022 0.591 -3.723
H -0.916 -0.658 -3.300
O -0.231 -0.033 -3.033
*
```

The LUMO energy (alpha / beta) comes out at 0.74 / 0.70 eV. The calculation puts the HOMO-LUMO gap (alpha / beta) at 6.30 / 9.22 eV. The calculation puts the HOMO energy (alpha / beta) at -5.6 / -8.5 eV.

Energies, relative to the best one, in hartree: model A 0.0306; model B 0.0000.

Model A:
This record from the Open Molecules 2025 dataset describes 2 unconnected molecules or ions with the total composition C4H10NO3. The level of theory is wB97M-V/def2-TZVPD.

Structure (ORCA input):
```
! wB97M-V def2-TZVPD RIJCOSX def2/J DEFGRID3
* xyz 0 2
C 2.211 1.909 1.022
C 0.958 2.147 0.213
N 0.445 1.128 -0.549
C 0.700 -0.273 -0.479
C -0.521 -1.036 0.149
O -0.173 -2.335 0.217
O 0.435 3.243 0.167
H 2.001 2.100 2.079
H 2.982 2.559 0.607
H 2.520 0.873 1.005
H -0.348 1.392 -1.113
H 0.881 -0.697 -1.464
H 1.549 -0.525 0.145
H -0.675 -0.583 1.138
H -1.406 -0.834 -0.471
H -4.056 -2.284 -1.042
H -3.308 -3.581 -0.813
O -4.195 -3.204 -0.810
*
```

The LUMO energy (alpha / beta) comes out at 0.53 / -2.12 eV. The calculation puts the HOMO-LUMO gap (alpha / beta) at 10.56 / 7.96 eV. The calculation puts the HOMO energy (alpha / beta) at -10.0 / -10.1 eV.

Model B:
This record from the Open Molecules 2025 dataset describes 2 unconnected molecules or ions with the total composition C4H10NO3. The level of theory is wB97M-V/def2-TZVPD.

Structure (ORCA input):
```
! wB97M-V def2-TZVPD RIJCOSX def2/J DEFGRID3
* xyz 0 2
C 0.926 1.022 0.655
********

In all, do not let setbacks set you back to a standstill. Don’t even resort to believing in ‘fate’ as a force on its own. But let setbacks turn on their heads as you let the Holy Spirit show you God’s divine setups to accomplish His destiny, plans and purpose for your life.

This is a summary and reflection based on a virtual BIR Session held on 24 July 2022.


